## Data
'''
Entry 1:
{
  "formula": "C4H9NP",
  "method": "ωB97M-V with the def2-TZVPD basis set",
  "elements": ["C", "C", "C", "C", "N", "P", "H", "H", "H", "H", "H", "H", "H", "H", "H"],
  "positions_angstrom": [[-0.36424, -0.59384, 1.01711], [0.89417, -0.31342, -1.37033], [0.84831, -0.57168, 0.07934], [-1.70949, 0.06104, 0.74602], [1.60144, 0.61050, -0.48026], [-1.84360, 1.46891, -0.15130], [-0.54976, -1.66714, 1.14353], [-0.02138, -0.24349, 1.99838], [1.50287, -0.93664, -2.01160], [0.01923, 0.10165, -1.85586], [1.57181, -1.30528, 0.43367], [-2.53367, -0.42315, 1.24282], [2.61845, 0.61496, -0.44517], [-3.21494, 1.66174, 0.01772], [1.18081, 1.53584, -0.36407]],
  "atomic_forces_ev_per_a": [[-0.1, 0.2, 0.2], [-0.5, -0.7, -0.5], [-0.2, -0.8, 0.1], [1.1, 0.8, -0.8], [-0.3, 1.0, 0.6], [0.3, -0.6, 0.4], [0.2, 0.1, 0.0], [0.0, -0.1, 0.0], [0.2, 0.1, 0.1], [0.1, 0.1, 0.1], [0.0, 0.2, -0.2], [-0.2, 0.0, 0.1], [-0.2, -0.1, 0.0], [-0.4, 0.1, -0.1], [0.1, -0.2, -0.1]],
  "energy_ev": -15063.8436,
  "max_force_ev_per_a": 1.58,
  "homo_lumo_gap_ev": 9.801,
  "charge": 1,
  "de_lowest_kcal_mol": 39.6,
  "spin_multiplicity": 1,
  "smiles": "[H]/P=C/C[C@H]1C[NH2+]1"
}



Entry 2:
{
  "formula": "C2H6N3OS",
  "method": "ωB97M-V with the def2-TZVPD basis set",
  "elements": ["C", "C", "N", "N", "N", "O", "S", "H", "H", "H", "H", "H", "H"],
  "positions_angstrom": [[-1.48155, 3.70546, 0.02714], [2.12863, -0.81239, 0.15064], [-1.11391, 2.61323, 0.08733], [1.78898, -1.96726, 0.20340], [-0.69547, -1.48711, -0.04378], [-0.76507, 1.48140, -0.10411], [2.45258, 0.70949, 0.01341], [-2.15738, 4.45267, -0.04673], [0.20021, -2.00759, 0.35009], [2.40224, -2.83970, -0.03089], [-1.44469, -1.42264, 0.66520], [-1.02420, -1.91561, -0.90448], [-0.29037, -0.50996, -0.36721]],
  "atomic_forces_ev_per_a": [[1.7, -2.7, 0.6], [1.4, 2.0, -0.5], [-0.9, 1.4, -1.2], [1.6, -3.6, -0.2], [1.2, 1.6, 0.0], [0.6, -1.1, 0.6], [-0.3, -1.0, 0.3], [-1.5, 2.2, 0.0], [-1.2, 0.7, -0.8], [-1.3, 2.3, 0.7], [0.4, 0.4, -0.7], [-0.2, -0.3, 0.1], [-1.5, -1.9, 1.2]],
  "energy_ev": -19514.0826,
  "max_force_ev_per_a": 3.97,
  "homo_lumo_gap_ev": 9.973,
  "charge": 1,
  "de_lowest_kcal_mol": 95.4,
  "spin_multiplicity": 1
}



Entry 3:
{
  "formula": "C31H86N9O7P3Si2",
  "method": "ωB97M-V with the def2-TZVPD basis set",
  "elements": ["C", "C", "C", "C", "Si", "O", "O", "Si", "O", "C", "C", "O", "C", "C", "C", "C", "C", "C", "C", "H", "H", "H", "H", "H", "H", "H", "H", "H", "H", "H", "H", "H", "H", "H", "H", "H", "H", "H", "H", "H", "H", "H", "H", "H", "H", "H", "H", "H", "H", "H", "H", "O", "P", "N", "C", "C", "N", "C", "C", "N", "C", "C", "H", "H", "H", "H", "H", "H", "H", "H", "H", "H", "H", "H", "H", "H", "H", "H", "H", "H", "O", "P", "N", "C", "C", "N", "C", "C", "N", "C", "C", "H", "H", "H", "H", "H", "H", "H", "H", "H", "H", "H", "H", "H", "H", "H", "H", "H", "H", "O", "P", "N", "C", "C", "N", "C", "C", "N", "C", "C", "H", "H", "H", "H", "H", "H", "H", "H", "H", "H", "H", "H", "H", "H", "H", "H", "H", "H"],
'''

## Assignment
Could you start at the top of the data above and return each line, ending with the one that has "C31H86N9O7P3Si2"?

## Result
Entry 1:
{
  "formula": "C4H9NP",
  "method": "ωB97M-V with the def2-TZVPD basis set",
  "elements": ["C", "C", "C", "C", "N", "P", "H", "H", "H", "H", "H", "H", "H", "H", "H"],
  "positions_angstrom": [[-0.36424, -0.59384, 1.01711], [0.89417, -0.31342, -1.37033], [0.84831, -0.57168, 0.07934], [-1.70949, 0.06104, 0.74602], [1.60144, 0.61050, -0.48026], [-1.84360, 1.46891, -0.15130], [-0.54976, -1.66714, 1.14353], [-0.02138, -0.24349, 1.99838], [1.50287, -0.93664, -2.01160], [0.01923, 0.10165, -1.85586], [1.57181, -1.30528, 0.43367], [-2.53367, -0.42315, 1.24282], [2.61845, 0.61496, -0.44517], [-3.21494, 1.66174, 0.01772], [1.18081, 1.53584, -0.36407]],
  "atomic_forces_ev_per_a": [[-0.1, 0.2, 0.2], [-0.5, -0.7, -0.5], [-0.2, -0.8, 0.1], [1.1, 0.8, -0.8], [-0.3, 1.0, 0.6], [0.3, -0.6, 0.4], [0.2, 0.1, 0.0], [0.0, -0.1, 0.0], [0.2, 0.1, 0.1], [0.1, 0.1, 0.1], [0.0, 0.2, -0.2], [-0.2, 0.0, 0.1], [-0.2, -0.1, 0.0], [-0.4, 0.1, -0.1], [0.1, -0.2, -0.1]],
  "energy_ev": -15063.8436,
  "max_force_ev_per_a": 1.58,
  "homo_lumo_gap_ev": 9.801,
  "charge": 1,
  "de_lowest_kcal_mol": 39.6,
  "spin_multiplicity": 1,
  "smiles": "[H]/P=C/C[C@H]1C[NH2+]1"
}



Entry 2:
{
  "formula": "C2H6N3OS",
  "method": "ωB97M-V with the def2-TZVPD basis set",
  "elements": ["C", "C", "N", "N", "N", "O", "S", "H", "H", "H", "H", "H", "H"],
  "positions_angstrom": [[-1.48155, 3.70546, 0.02714], [2.12863, -0.81239, 0.15064], [-1.11391, 2.61323, 0.08733], [1.78898, -1.96726, 0.20340], [-0.69547, -1.48711, -0.04378], [-0.76507, 1.48140, -0.10411], [2.45258, 0.70949, 0.01341], [-2.15738, 4.45267, -0.04673], [0.20021, -2.00759, 0.35009], [2.40224, -2.83970, -0.03089], [-1.44469, -1.42264, 0.66520], [-1.02420, -1.91561, -0.90448], [-0.29037, -0.50996, -0.36721]],
  "atomic_forces_ev_per_a": [[1.7, -2.7, 0.6], [1.4, 2.0, -0.5], [-0.9, 1.4, -1.2], [1.6, -3.6, -0.2], [1.2, 1.6, 0.0], [0.6, -1.1, 0.6], [-0.3, -1.0, 0.3], [-1.5, 2.2, 0.0], [-1.2, 0.7, -0.8], [-1.3, 2.3, 0.7], [0.4, 0.4, -0.7], [-0.2, -0.3, 0.1], [-1.5, -1.9, 1.2]],
  "energy_ev": -19514.0826,
  "max_force_ev_per_a": 3.97,
  "homo_lumo_gap_ev": 9.973,
  "charge": 1,
  "de_lowest_kcal_mol": 95.4,
  "spin_multiplicity": 1
}



Entry 3:
{
  "formula": "C31H86N9O7P3Si2",